(3. lovački zdrug)
by H.L. deZeng IV

Formation ordered on 11 February 1943 and began forming in May 1943 (with 15 June 1943 as the official date) in Doboj as one of the two Jäger brigades that were last to form. During the summer and early fall of 1943, a German training staff and battalion (Deutsches Ausbildungs-Btl. 3 bei der 3. kroatischen Jägerbrigade) was attached to the Brigade to try and bring it to an acceptable level of effectiveness and efficiency. (1)

Attached: crystal structures >
┌──
Record 1
Structure and computed powder XRD pattern of Y2CoB6 (the GGA-PBE geometry in OQMD; Cu Kα, 1.54184 Å).
Neutral-atom scattering factors, no anomalous dispersion.

Main lines, by angle (10° ≤ 2θ ≤ 90°):
Position (°2θ), d [Å], I_rel
24.84, 3.584, 82
30.50, 2.931, 72
31.21, 2.866, 25
32.76, 2.734, 30
33.40, 2.683, 24
39.72, 2.269, 100
40.30, 2.238, 35
41.54, 2.174, 37
42.07, 2.148, 35
50.96, 1.792, 25

Crystal structure
```
data_Y2CoB6
_chemical_formula_sum 'Y8 Co4 B24'
_space_group_name_H-M_alt 'P b a m'
_space_group_IT_number 55
_cell_length_a 9.1073
_cell_length_b 11.4639
_cell_length_c 3.5843
_cell_angle_alpha 90.00
_cell_angle_beta 90.00
_cell_angle_gamma 90.00
loop_
_space_group_symop_operation_xyz
'x,y,z'
'-x,-y,-z'
'-x,-y,z'
'x,y,-z'
'x+1/2,-y+1/2,-z'
'-x+1/2,y+1/2,z'
'-x+1/2,y+1/2,-z'
'x+1/2,-y+1/2,z'
loop_
_atom_site_label
_atom_site_fract_x
_atom_site_fract_y
_atom_site_fract_z
_atom_site_occupancy
Y1 0.0570 0.1294 0.0000 1
Y2 0.1754 0.4147 0.0000 1
Co1 0.1388 0.6789 0.0000 1
B1 0.0131 0.2890 0.5000 1
B2 0.0535 0.5671 0.5000 1
B3 0.1092 0.9704 0.5000 1
B4 0.1337 0.8154 0.5000 1
B5 0.2095 0.2354 0.5000 1
B6 0.2459 0.5823 0.5000 1
```


Record 2
Structure and computed powder XRD pattern of Y3Co11B4 (the GGA-PBE geometry in OQMD; Cu Kα, 1.54184 Å).
Neutral-atom scattering factors, no anomalous dispersion.

Main lines, by angle (10° ≤ 2θ ≤ 90°):
Position (°2θ), d [Å], I_rel
34.49, 2.600, 73
35.69, 2.516, 16
36.96, 2.432, 20
41.45, 2.179, 100
42.57, 2.124, 18
45.65, 1.987, 96
63.35, 1.468, 24
71.14, 1.325, 22
75.60, 1.258, 26
82.34, 1.171, 15

Crystal structure
```
data_Y3Co11B4
_chemical_formula_sum 'Y3 Co11 B4'
_space_group_name_H-M_alt 'P 6/m m m'
_space_group_IT_number 191
_space_group_name_Hall '-P 6 2'
_cell_length_a 5.0311
_cell_length_b 5.0311
_cell_length_c 9.7218
_cell_angle_alpha 90.00
_cell_angle_beta 90.00
_cell_angle_gamma 120.00
loop_
_atom_site_label
_atom_site_fract_x
_atom_site_fract_y
_atom_site_fract_z
_atom_site_occupancy
Y1 0.0000 0.0000 0.0000 1
Y2 0.0000 0.0000 0.3416 1
Co1 0.0000 0.5000 0.2025 1
Co2 0.0000 0.5000 0.5000 1
Co3 0.3333 0.6667 0.0000 1
B1 0.3333 0.6667 0.3498 1
```


Record 3
Structure and computed powder XRD pattern of ZrCo2B (the GGA-PBE geometry in OQMD; Cu Kα, 1.54184 Å).
Neutral-atom scattering factors, no anomalous dispersion.

Main lines, by angle (10° ≤ 2θ ≤ 90°):
Position (°2θ), d [Å], I_rel
27.66, 3.224, 20
36.90, 2.436, 58
40.18, 2.244, 25
40.45, 2.230, 40
43.86, 2.064, 100
45.23, 2.005, 20
57.13, 1.612, 18
58.34, 1.582, 13
72.32, 1.307, 13
75.94, 1.253, 15

Crystal structure
```
data_ZrCo2B
_chemical_formula_sum 'Zr2 Co4 B2'
_space_group_name_H-M_alt 'P m c 21'
_space_group_IT_number 26
_cell_length_a 3.2245
_cell_length_b 6.7324
_cell_length_c 4.4597
_cell_angle_alpha 90.00
_cell_angle_beta 90.00
_cell_angle_gamma 90.00
loop_
_space_group_symop_operation_xyz
'x,y,z'
'-x,-y,z+1/2'
'-x,y,z'
'x,-y,z+1/2'
loop_
_atom_site_label
_atom_site_fract_x
_atom_site_fract_y
_atom_site_fract_z
└──
Back to the piece >

Operational History


1 Aug 43: Brigade noted as being still in formation and training, but had recently carried out some reconnaissance operations under Croatian II Corps in the Teslić area and to the north of Sl. Brod beginning on 26 July.
1 Sep 43: Brigade declared operational under the tactical control of German 187. Res.Div. and its ration strength this date given as 160/439/5054 for a total of 5,653.
12 Sep 43: Partisans from the 2d Syrmian NOP Detachment and the 2d and 3d Vojvodina Brigades ambushed a battalion from the Brigade’s 8th Jäger Rgt. between Sremska Rača and Bosut, forcing it to withdraw toward Kuzmin with heavy losses after a fight that lasted for many hours.
24 Sep 43: 8th Jäger Rgt. suffered heavy losses in Bijeljina, which was taken by the 16th Assault Division NOVJ and the Majevica NOP Detachment after two days of continuous fighting.
19-20 Oct 43: Partisan 16th Assault Division NOVJ attacked and took the fortified strongpoint at Gunja near Brčko, smashing and dispersing I Bn./5th Jäger Rgt.
2 Nov 43: German Gen.Lt. Brauner, commanding general of the 187. Res.Div., stated in an evaluation this date that the battalions of the 3d Jäger Brigade, with HQ in Brčko and deployed in the Brčko – Bijeljina area, were “morally contaminated and of little value for operations.”
3-13 Nov 43: Brigade elements took part in Operation “Ferkel” in the Tuzla – Brčko area.
20 Nov 43: in a letter to the commanding general of Croatian II Corps this date, the commanding general of German LXIX. Res.Korps said that in a recent offensive drive to the south from Brčko the majority of the Brigade had distinguished itself under the leadership of its new commander, Pukovnik Fritz.
16 Dec 43: following up on his earlier evaluation of the Brigade at the beginning of November, Lt.Gen. Brauner now stated that it was in a bad state training-wise because of the stationary nature of its employment in and around Brčko. At best, he said, the Brigade was only useful for local defense assignments in close association with German troops. In his opinion, Pukovnik Fritz was a hard worker who devoted himself to improving the Brigade’s state of training.
19-20 Dec 43: Bos. Šamac, which was held by II Bn./8th Jäger Rgt., was taken by elements of 16th Assualt Div. NOVJ after 3 hours of heavy fighting; II Bn. suffered losses of approximately 150 of which about 100 were taken prisoner, while the Partisans lost 15 killed and 30 wounded.


17-20 Jan 44: Brigade defended Tuzla against a concentrated attempt by the 3d Assault Corps NOVJ with three divisions. The city held after the Germans rushed in reinforcements from Doboj and Zvornik.
29 Feb 44: the entire Brigade with all of its subordinate units now in Tuzla, where it remained until the end of May.
24 Apr – 18 May 44: participated in Operation “Maibaum” in the Tuzla area.
2 Jun 44: entire Brigade put aboard trains and sent to Döllersheim/Austria for 6 weeks of intense training.
14 Jul 44: training concluded, the Brigade was transported by train to Vinkovci in eastern Slavonia, arriving on 18 July.
28 Jul 44: Brigade elements together with railway security forces commenced an anti-partisan operation 30 km south of Vinkovci that was under the tactical control of Befehlshaber Syrmien.
5-6 Sep 44: 8th Jäger Rgt. successfully defended Sl. Požega against a determined attempt by elements of the 12th Division NOVJ to take the important town.
8 Sep 44: Vrpolje taken by elements of the 12th Division NOVJ and most of the garrison from the Brigade’s 5th Jäger Rgt. were captured.
19-20 Oct 44: a company from 8th Jäger Rgt. successfully defended the village of Sot near Šid from an attack by elements of the 9th Vojvodina NOU Brigade.
Nov 44: II Bn./5th Jäger Rgt. in Vrpolje, which had been retaken, was brought up to strength with the remnants of the 1st Jäger Brigade, which had just been disbanded in Brčko.
25 Nov 44: III Bn./8th Jäger Rgt. now in Banja Luka attached to the Banja Luka Brigade.
1 Dec 44: 3d Jäger Brigade disbanded and all of its assets used to form the new 8th Jäger Brigade.


Pukovnik Stjepan Mifek (? Aug 1943 - 29 Sep 1943)
Pukovnik Mirko Paja (1 Oct 1943 - ? Nov 1943)
Pukovnik Julije Fritz (? Nov 1943 - ? Nov 1944)


II Domobran Corps (II Territorial Corps) (May 1943 - Nov 1944)

Order of battle (July 1943)

Brigade HQ and support units in Doboj,
5th Jäger Rgt. HQ in Slavonski Brod
8th Jäger Rgt. HQ in Tuzla
VII Artillery Gp. in Tuzla
XVIII Artillery Gp. in Tuzla

Order of battle (25 Oct 1943)

Brigade HQ and support units in Brčko
5th Jäger Rgt. HQ in Brčko with I Bn. in Gunja, II Bn. in Brčko and III Bn. in Potočani
8th Jäger Rgt. HQ in Brčko with I Bn. in Bijeljina, II Bn. in Vinkovci and III Bn. in Brčko
VII Artillery Gp. in Brčko
XVIII Artillery Gp. in Sl. Brod

Order of battle (15 Aug 1944)

Brigade HQ, Signal Co., Motor Transport Section (15-ton), Bakery Half-Co., Butchery Platoon, Administrative Section, Medical Co., Veterinary Co., Military Police Platoon and Brigade Music Section all in Vinkovci
Brigade Engineer Co. in Stari Jankovci
Brigade Tank Platoon in training in Austria
5th Jäger Rgt. HQ and 13th, 14th and 15th Co. in Vrpolje, I Bn. in Mikanovci, II Bn. in Kopanica and III Bn. (cadre strength only) in Vrpolje
8th Jäger Rgt. HQ and 13th, 14th and 15th Co. in Djakovo, I Bn. in Široko Polje, II Bn. (cadre strength only) in Djakovo and III Bn. detached in the Slavonska Požega area
VII Artillery Gp. HQ, HQ Battery and Light Transport Column in Piškorevci, 1st Battery in Djakovo and 2d Battery in Vrpolje.
Brigade tactically under the German Befehlshaber Syrmien. OB and locations remained essentially unchanged through November 1944.

Order of battle (30 Nov 1944)

Brigade HQ and support units in Mikanovci near Vinkovci
5th Jäger Rgt. HQ in Djakovo with I – III Bn.
8th Jäger Rgt. HQ in Djakovo with I – II Bn.
VII and XVIII Artillery Gp. (locations not reported)


1. Arhiv VII, kut. 114b, reg.br. 1/2; Colić 1974, pp.347-49; [Vojnoistorijski institute] - Hronologija oslobodilačke borbe naroda jugoslavije 1941-1945, pp.545, 563, 579, 620, 650, 893, 895, 983; [Vojnoistorijski institute] - Zbornik dokumenata I podataka o narodnooslobodilačkom ratu jugoslovenskih naroda, Tom IV/23, pp.674-76; IV/24, pp.640-44; IV/27, p.706; IV/30, p.649; Tom V/17, p.582; NARA WashDC: RG 242 (T-311 roll 192/033, 242); (T-314 roll 558/1131; roll 559/205; roll 1544/464-66, 598-99; roll 1548/209); (T-315 roll 1556/555; roll 2155/196); RG 331 (roll 447-B); [Vojnoistorijski institute] - Oslobodilački rat naroda Juooslavije 1941-1945; Strugar, Vlado - Jugoslavija 1941-1945.

Reference material on this unit

- None known at this time -